/*
Record 1
The following is a quantum chemistry calculation of a structure of composition C26H44Cl2O2P2Y in a non-equilibrium geometry, from OMol25.

Geometry as XYZ:
```
77
Properties=species:S:1:pos:R:3:lowdin_charge:R:1
Y -0.95 1.41 0.95 1.657
Cl -3.67 -0.68 3.90 0.680
Cl -1.69 -2.92 3.57 0.698
P -0.96 -0.78 -2.94 0.835
P -1.02 2.15 -2.51 0.770
O -1.86 -0.33 1.63 -0.255
O -2.88 -2.01 0.54 0.060
C 2.91 -3.33 1.00 -0.175
C 0.69 2.31 -3.23 -0.290
C -1.21 0.17 -4.52 -0.451
C 1.67 -3.96 1.55 -0.096
C -2.58 -1.43 1.58 -0.695
C -1.74 2.20 4.56 -0.036
C -1.77 1.52 -4.15 -0.443
C -0.33 3.16 2.64 -0.310
C 0.47 -3.75 0.98 -0.121
C 0.30 -3.24 -0.43 -0.166
C -2.57 -1.64 -2.74 -0.245
C -0.85 4.56 2.78 -0.033
C -0.71 2.08 3.49 -0.279
C -3.06 -2.01 2.90 -0.945
C 2.38 0.63 1.84 -0.030
C 1.58 3.57 0.95 -0.050
C 0.82 2.73 1.87 -0.384
C 3.23 -3.73 -0.49 -0.166
C 2.18 -1.70 -1.49 -0.142
C 0.05 -1.91 -3.98 -0.281
C -1.56 3.83 -3.08 -0.327
C 1.14 1.37 2.24 -0.291
C 0.21 1.01 3.31 -0.262
C 3.16 -2.61 -1.51 -0.089
C 0.94 -1.81 -0.63 -0.240
C 0.27 -0.15 4.19 -0.041
H 3.29 0.99 2.36 0.104
H 2.45 4.01 1.49 0.111
H 1.33 1.45 -2.97 0.021
H 0.37 -2.82 -3.46 0.036
H -2.42 1.33 4.50 0.005
H -2.51 -2.65 -3.15 0.056
H -3.37 -1.07 -3.25 0.045
H -2.36 3.09 4.42 0.083
H -1.53 2.22 -4.96 0.079
H 2.54 -4.51 -0.83 0.108
H 1.01 -1.33 0.38 0.088
H 4.27 -4.12 -0.50 0.112
H 0.11 -1.22 -1.10 -0.019
H -0.45 -4.03 1.48 0.050
H -0.51 -2.18 -4.90 0.058
H 1.95 2.97 0.11 0.079
H -0.16 5.32 2.38 0.086
H 1.84 -4.66 2.36 0.100
H -1.01 4.84 3.83 0.097
H -2.87 1.49 -4.06 0.087
H 0.90 -0.02 5.09 0.111
H -1.85 -0.42 -5.19 0.095
H 2.31 -0.45 2.09 0.067
H 0.99 4.42 0.56 0.087
H 4.01 -2.47 -2.18 0.103
H 2.62 0.64 0.77 0.080
H -1.08 4.63 -2.50 0.033
H 0.65 -1.04 3.68 0.069
H 1.14 3.22 -2.82 0.039
H -0.74 -0.37 4.56 0.053
H -3.86 -2.74 2.75 0.076
H 2.29 -0.73 -1.99 0.089
H 0.65 2.41 -4.32 0.057
H -1.84 4.66 2.30 0.087
H 2.85 -2.23 1.02 0.077
H -1.31 3.97 -4.14 0.046
H 3.78 -3.60 1.62 0.111
H -0.78 -3.15 -0.63 0.093
H -2.81 -1.70 -1.67 0.001
H 0.97 -1.39 -4.30 0.048
H 0.74 -3.92 -1.16 0.106
H -2.66 3.88 -2.98 0.044
H -0.22 0.29 -5.00 0.075
H -1.32 2.25 5.59 0.112
```

The total charge is +1. The value obtained for the HOMO energy is -0.3958 Ha. Its LUMO energy is -3.89 eV.

---

Record 2
The following is a quantum chemistry calculation of a cluster of 3 separate species, C26H44ClF5N2O6 in total in a non-equilibrium geometry, from OMol25.

Geometry as XYZ:
```
84
Properties=species:S:1:pos:R:3:lowdin_spin:R:1
Cl -1.85 -1.89 4.62 0.000
F -0.13 -2.53 -1.50 0.000
F -2.61 -3.79 -2.59 0.000
F -1.64 -4.37 -0.73 0.000
F -1.54 -1.37 -0.36 0.000
F -1.68 -1.43 -2.51 0.000
O -4.93 0.13 -0.01 0.000
O 0.31 0.75 5.14 0.517
O 3.20 -1.57 -6.21 0.522
O -3.15 1.39 0.45 0.000
O -4.02 0.04 2.04 0.000
O -3.55 -2.60 2.79 0.000
N 0.65 1.64 6.00 0.383
N 2.02 -1.33 -6.66 0.379
C -2.89 -1.71 3.22 0.000
C -0.38 -1.91 -6.20 0.004
C 2.00 -0.13 -7.57 0.026
C -3.95 0.57 0.78 0.000
C 0.99 -0.38 7.38 -0.001
C 1.21 1.84 8.44 0.004
C 0.96 -1.43 -5.60 0.026
C 1.46 1.06 7.13 0.026
C -4.51 -2.01 -1.12 0.000
C 2.58 2.66 4.88 0.016
C 2.03 1.13 -6.70 0.016
C 0.82 -0.09 -4.85 0.017
C 1.11 4.11 6.28 0.002
C -5.27 -1.27 -0.02 0.000
C 1.15 2.89 5.35 0.026
C 3.23 -0.20 -8.47 -0.001
C 0.86 1.17 -5.71 0.001
C 1.38 -2.50 -4.59 -0.002
C 0.24 3.21 4.17 -0.001
C 2.95 1.01 6.74 0.017
C -3.63 -3.15 -0.57 0.000
C -2.77 -0.32 2.62 0.000
C 3.50 2.23 6.02 0.001
C -2.34 -3.39 -1.33 0.000
C -1.40 -2.16 -1.43 0.000
C 0.78 -0.10 -8.49 0.002
H 1.61 -3.44 -5.08 0.000
H 2.58 1.88 4.10 0.002
H 2.01 2.00 -7.36 0.002
H -0.80 3.30 4.50 0.000
H -5.09 -1.71 0.96 0.000
H -0.08 1.32 -6.24 0.000
H 0.55 4.17 3.73 0.000
H -5.23 -2.45 -1.81 0.000
H -2.44 0.41 3.36 0.000
H 2.25 -2.20 -4.01 0.000
H -6.35 -1.30 -0.19 0.000
H 1.24 -1.04 6.55 0.000
H 3.67 3.06 6.71 0.000
H 4.15 -0.12 -7.90 -0.001
H -3.92 -1.28 -1.68 0.000
H 0.29 2.45 3.40 -0.001
H -0.10 -0.12 -4.28 0.002
H -4.17 -4.10 -0.66 0.000
H 0.89 0.74 -9.17 0.000
H 3.19 0.63 -9.18 0.000
H -0.53 -2.97 -6.00 0.000
*/

What is needed: type out every line further above that contains the word "following".

The following is a quantum chemistry calculation of a structure of composition C26H44Cl2O2P2Y in a non-equilibrium geometry, from OMol25.
The following is a quantum chemistry calculation of a cluster of 3 separate species, C26H44ClF5N2O6 in total in a non-equilibrium geometry, from OMol25.